Material:
+++
Entry 1:
# Na2HfZnP2SO12

A relaxed Na2HfZnP2SO12 crystal (PBE, the Materials Project database).

spin magnetization	0.0	μB/f.u.

Cell lengths 8.937, 8.929, 22.519 Å; angles 89.69, 90.00, 120.03 degrees
Positions (direct):
1 O 0.685 0.535 0.246
2 O 0.183 0.201 0.412
3 O 0.648 0.121 0.138
4 O 0.358 0.481 0.363
5 O 0.482 0.328 0.748
6 O 0.349 0.494 0.076
7 O 0.812 0.827 0.909
8 O 0.305 0.834 0.255
9 O 0.540 0.690 0.972
10 O 0.793 0.972 0.694
11 O 0.150 0.690 0.472
12 O 0.816 0.995 0.414
13 O 0.168 0.478 0.256
14 O 0.682 0.160 0.743
15 O 0.638 0.501 0.922
16 O 0.645 0.530 0.646
17 O 0.459 0.306 0.027
18 O 0.473 0.121 0.638
19 O 0.218 0.197 0.813
20 O 0.829 0.026 0.088
21 O 0.314 0.454 0.471
22 O 0.180 0.972 0.194
23 O 0.016 0.196 0.200
24 O 0.123 0.481 0.863
25 O 0.015 0.827 0.409
26 O 0.145 0.494 0.576
27 O 0.643 0.144 0.423
28 O 0.196 0.168 0.089
29 O 0.502 0.144 0.923
30 O 0.683 0.530 0.534
31 O 0.846 0.306 0.527
32 O 0.514 0.863 0.367
33 O 0.478 0.160 0.243
34 O 0.179 0.995 0.914
35 O 0.790 0.815 0.197
36 O 0.806 0.788 0.304
37 O 0.850 0.535 0.746
38 O 0.979 0.197 0.313
39 O 0.457 0.148 0.530
40 O 0.140 0.454 0.971
41 O 0.846 0.328 0.248
42 O 0.863 0.501 0.422
43 O 0.149 0.662 0.081
44 O 0.976 0.811 0.089
45 O 0.495 0.359 0.421
46 O 0.483 0.357 0.138
47 O 0.162 0.693 0.754
48 O 0.835 0.811 0.589
49 O 0.864 0.359 0.921
50 O 0.018 0.201 0.912
51 O 0.516 0.868 0.079
52 O 0.352 0.868 0.579
53 O 0.691 0.148 0.030
54 O 0.181 0.196 0.700
55 O 0.981 0.788 0.804
56 O 0.847 0.530 0.034
57 O 0.309 0.478 0.756
58 O 0.972 0.168 0.589
59 O 0.513 0.639 0.861
60 O 0.551 0.863 0.479
61 O 0.817 0.023 0.805
62 O 0.197 0.026 0.588
63 O 0.207 0.023 0.305
64 O 0.529 0.834 0.755
65 O 0.885 0.530 0.146
66 O 0.312 0.863 0.979
67 O 0.024 0.815 0.697
68 O 0.126 0.639 0.361
69 O 0.873 0.357 0.638
70 O 0.513 0.662 0.581
71 O 0.349 0.863 0.867
72 O 0.530 0.693 0.254
73 Zn 0.996 0.997 0.849
74 Zn 0.334 0.663 0.016
75 Zn 0.663 0.330 0.182
76 Zn 0.667 0.330 0.682
77 Zn 0.000 0.997 0.349
78 Zn 0.330 0.663 0.516
79 Hf 0.675 0.344 0.481
80 Hf 0.342 0.678 0.814
81 Hf 0.669 0.344 0.981
82 Hf 0.003 0.011 0.647
83 Hf 0.008 0.011 0.147
84 Hf 0.336 0.678 0.314
85 Na 0.660 0.963 0.575
86 Na 0.993 0.629 0.241
87 Na 0.330 0.635 0.157
88 Na 0.638 0.302 0.324
89 Na 0.303 0.963 0.075
90 Na 0.970 0.296 0.408
91 Na 0.997 0.968 0.491
92 Na 0.326 0.296 0.908
93 Na 0.305 0.635 0.657
94 Na 0.636 0.629 0.741
95 Na 0.972 0.968 0.991
96 Na 0.663 0.302 0.824
97 S 0.371 0.041 0.584
98 S 0.038 0.374 0.918
99 S 0.670 0.041 0.084
100 S 0.336 0.374 0.418
101 S 0.003 0.708 0.751
102 S 0.705 0.708 0.251
103 P 0.711 0.009 0.751
104 P 0.331 0.961 0.921
105 P 0.997 0.295 0.255
106 P 0.964 0.628 0.088
107 P 0.297 0.009 0.251
108 P 0.378 0.342 0.084
109 P 0.044 0.675 0.418
110 P 0.964 0.342 0.584
111 P 0.631 0.675 0.918
112 P 0.631 0.961 0.421
113 P 0.297 0.295 0.755
114 P 0.664 0.628 0.588

=====

Entry 2:
# NaHf2Zn2PS5O24

A relaxed NaHf2Zn2PS5O24 crystal (PBE, the Materials Project database).

spin magnetization	0.0	μB/f.u.

Cell lengths 8.792, 8.801, 22.787 Å; angles 90.08, 90.04, 119.95 degrees
Positions (direct):
1 Na 0.000 0.000 0.000
2 Na 0.007 0.008 0.504
3 Na 0.674 0.339 0.170
4 Hf 0.009 0.010 0.355
5 Hf 0.336 0.677 0.189
6 Hf 0.337 0.671 0.690
7 Hf 0.340 0.680 0.977
8 Hf 0.663 0.336 0.522
9 Hf 0.677 0.338 0.019
10 Zn 0.004 0.005 0.652
11 Zn 0.004 0.005 0.844
12 Zn 0.338 0.664 0.478
13 Zn 0.666 0.341 0.319
14 Zn 0.671 0.339 0.807
15 Zn 0.995 0.995 0.146
16 P 0.049 0.677 0.083
17 P 0.385 0.346 0.415
18 P 0.632 0.962 0.083
19 S 0.049 0.379 0.582
20 S 0.295 0.291 0.750
21 S 0.297 0.012 0.248
22 S 0.331 0.956 0.582
23 S 0.335 0.380 0.083
24 S 0.378 0.052 0.914
25 S 0.631 0.679 0.582
26 S 0.665 0.046 0.416
27 S 0.675 0.630 0.915
28 S 0.716 0.711 0.249
29 S 0.718 0.010 0.750
30 S 0.961 0.334 0.914
31 S 0.964 0.626 0.416
32 S 0.999 0.293 0.248
33 S 0.999 0.714 0.750
34 O 0.025 0.202 0.590
35 O 0.030 0.211 0.301
36 O 0.032 0.839 0.088
37 O 0.040 0.824 0.803
38 O 0.130 0.491 0.635
+++

Exercise:
Find the line further up that holds "0.309 0.478", then duplicate that line and all lines after it there.

Done:
57 O 0.309 0.478 0.756
58 O 0.972 0.168 0.589
59 O 0.513 0.639 0.861
60 O 0.551 0.863 0.479
61 O 0.817 0.023 0.805
62 O 0.197 0.026 0.588
63 O 0.207 0.023 0.305
64 O 0.529 0.834 0.755
65 O 0.885 0.530 0.146
66 O 0.312 0.863 0.979
67 O 0.024 0.815 0.697
68 O 0.126 0.639 0.361
69 O 0.873 0.357 0.638
70 O 0.513 0.662 0.581
71 O 0.349 0.863 0.867
72 O 0.530 0.693 0.254
73 Zn 0.996 0.997 0.849
74 Zn 0.334 0.663 0.016
75 Zn 0.663 0.330 0.182
76 Zn 0.667 0.330 0.682
77 Zn 0.000 0.997 0.349
78 Zn 0.330 0.663 0.516
79 Hf 0.675 0.344 0.481
80 Hf 0.342 0.678 0.814
81 Hf 0.669 0.344 0.981
82 Hf 0.003 0.011 0.647
83 Hf 0.008 0.011 0.147
84 Hf 0.336 0.678 0.314
85 Na 0.660 0.963 0.575
86 Na 0.993 0.629 0.241
87 Na 0.330 0.635 0.157
88 Na 0.638 0.302 0.324
89 Na 0.303 0.963 0.075
90 Na 0.970 0.296 0.408
91 Na 0.997 0.968 0.491
92 Na 0.326 0.296 0.908
93 Na 0.305 0.635 0.657
94 Na 0.636 0.629 0.741
95 Na 0.972 0.968 0.991
96 Na 0.663 0.302 0.824
97 S 0.371 0.041 0.584
98 S 0.038 0.374 0.918
99 S 0.670 0.041 0.084
100 S 0.336 0.374 0.418
101 S 0.003 0.708 0.751
102 S 0.705 0.708 0.251
103 P 0.711 0.009 0.751
104 P 0.331 0.961 0.921
105 P 0.997 0.295 0.255
106 P 0.964 0.628 0.088
107 P 0.297 0.009 0.251
108 P 0.378 0.342 0.084
109 P 0.044 0.675 0.418
110 P 0.964 0.342 0.584
111 P 0.631 0.675 0.918
112 P 0.631 0.961 0.421
113 P 0.297 0.295 0.755
114 P 0.664 0.628 0.588

=====

Entry 2:
# NaHf2Zn2PS5O24

A relaxed NaHf2Zn2PS5O24 crystal (PBE, the Materials Project database).

spin magnetization	0.0	μB/f.u.

Cell lengths 8.792, 8.801, 22.787 Å; angles 90.08, 90.04, 119.95 degrees
Positions (direct):
1 Na 0.000 0.000 0.000
2 Na 0.007 0.008 0.504
3 Na 0.674 0.339 0.170
4 Hf 0.009 0.010 0.355
5 Hf 0.336 0.677 0.189
6 Hf 0.337 0.671 0.690
7 Hf 0.340 0.680 0.977
8 Hf 0.663 0.336 0.522
9 Hf 0.677 0.338 0.019
10 Zn 0.004 0.005 0.652
11 Zn 0.004 0.005 0.844
12 Zn 0.338 0.664 0.478
13 Zn 0.666 0.341 0.319
14 Zn 0.671 0.339 0.807
15 Zn 0.995 0.995 0.146
16 P 0.049 0.677 0.083
17 P 0.385 0.346 0.415
18 P 0.632 0.962 0.083
19 S 0.049 0.379 0.582
20 S 0.295 0.291 0.750
21 S 0.297 0.012 0.248
22 S 0.331 0.956 0.582
23 S 0.335 0.380 0.083
24 S 0.378 0.052 0.914
25 S 0.631 0.679 0.582
26 S 0.665 0.046 0.416
27 S 0.675 0.630 0.915
28 S 0.716 0.711 0.249
29 S 0.718 0.010 0.750
30 S 0.961 0.334 0.914
31 S 0.964 0.626 0.416
32 S 0.999 0.293 0.248
33 S 0.999 0.714 0.750
34 O 0.025 0.202 0.590
35 O 0.030 0.211 0.301
36 O 0.032 0.839 0.088
37 O 0.040 0.824 0.803
38 O 0.130 0.491 0.635